### Activity
Please work out how many lines below have the word "uncorrected" in them; a number is enough.
### Excerpt
'''
[1]
# Ba2NaZn3Ag12 | Alexandria via LeMat-Bulk | PBE | relaxed
data_Ba2NaZn3Ag12
_chemical_formula_sum 'Ba2 Na1 Zn3 Ag12'
_symmetry_space_group_name_H-M 'P 1'
_symmetry_Int_Tables_number 1
_cell_length_a 8.9437
_cell_length_b 8.9437
_cell_length_c 8.9437
_cell_angle_alpha 57.63
_cell_angle_beta 57.63
_cell_angle_gamma 57.63
loop_
_symmetry_equiv_pos_as_xyz
'x,y,z'
loop_
_atom_site_label
_atom_site_type_symbol
_atom_site_fract_x
_atom_site_fract_y
_atom_site_fract_z
Ba1 Ba 0.1139 0.1139 0.1139
Ba2 Ba 0.8861 0.8861 0.8861
Na1 Na 0.5000 0.5000 0.5000
Zn1 Zn 0.0000 0.5000 0.5000
Zn2 Zn 0.5000 0.0000 0.5000
Zn3 Zn 0.5000 0.5000 0.0000
Ag1 Ag 0.0927 0.6292 0.6292
Ag2 Ag 0.1433 0.1433 0.6236
Ag3 Ag 0.1433 0.6236 0.1433
Ag4 Ag 0.3708 0.3708 0.9073
Ag5 Ag 0.3708 0.9073 0.3708
Ag6 Ag 0.3764 0.8567 0.8567
Ag7 Ag 0.6236 0.1433 0.1433
Ag8 Ag 0.6292 0.0927 0.6292
Ag9 Ag 0.6292 0.6292 0.0927
Ag10 Ag 0.8567 0.3764 0.8567
Ag11 Ag 0.8567 0.8567 0.3764
Ag12 Ag 0.9073 0.3708 0.3708
# Uncorrected energy = -39.4 eV/cell
# Energy of formation from the pure elements = 209 meV per atom

=====

[2]
# Sr4ZnHg | Alexandria via LeMat-Bulk | PBE | relaxed
data_Sr4ZnHg
_chemical_formula_sum 'Sr4 Zn1 Hg1'
_symmetry_space_group_name_H-M 'P 1'
_symmetry_Int_Tables_number 1
_cell_length_a 5.6518
_cell_length_b 5.6518
_cell_length_c 9.5635
_cell_angle_alpha 107.28
_cell_angle_beta 107.28
_cell_angle_gamma 60.12
loop_
_symmetry_equiv_pos_as_xyz
'x,y,z'
loop_
_atom_site_label
_atom_site_type_symbol
_atom_site_fract_x
_atom_site_fract_y
_atom_site_fract_z
Sr1 Sr 0.1239 0.1239 0.3722
Sr2 Sr 0.3731 0.3731 0.1192
Sr3 Sr 0.6269 0.6269 0.8808
Sr4 Sr 0.8761 0.8761 0.6278
Zn1 Zn 0.0000 0.0000 0.0000
Hg1 Hg 0.5000 0.5000 0.5000
# Polymorph energy (0 for the lowest one) = 112 meV per atom
# Uncorrected energy = -9.2 eV/cell
# Energy of formation from the pure elements = -142 meV per atom

=====

[3]
# Dy2ScHg | Alexandria via LeMat-Bulk | PBE | relaxed
data_Dy2ScHg
_chemical_formula_sum 'Dy2 Sc1 Hg1'
_symmetry_space_group_name_H-M 'P 1'
_symmetry_Int_Tables_number 1
_cell_length_a 3.5575
_cell_length_b 3.5575
_cell_length_c 8.5549
_cell_angle_alpha 90.00
_cell_angle_beta 90.00
_cell_angle_gamma 90.00
loop_
_symmetry_equiv_pos_as_xyz
'x,y,z'
loop_
_atom_site_label
_atom_site_type_symbol
_atom_site_fract_x
_atom_site_fract_y
_atom_site_fract_z
Dy1 Dy 0.0000 0.0000 0.2381
Dy2 Dy 0.0000 0.0000 0.7619
Sc1 Sc 0.5000 0.5000 0.5000
Hg1 Hg 0.5000 0.5000 0.0000
# Polymorph energy (0 for the lowest one) = 0 meV per atom
# Uncorrected energy = -16.7 eV/cell
# Energy of formation from the pure elements = -206 meV per atom

=====

[4]
# CsKNF2 | Alexandria via LeMat-Bulk | PBE | relaxed
data_CsKNF2
_chemical_formula_sum 'Cs1 K1 N1 F2'
_symmetry_space_group_name_H-M 'P 1'
_symmetry_Int_Tables_number 1
_cell_length_a 5.4483
_cell_length_b 5.4483
_cell_length_c 5.0993
_cell_angle_alpha 90.00
_cell_angle_beta 90.00
_cell_angle_gamma 90.00
loop_
_symmetry_equiv_pos_as_xyz
'x,y,z'
loop_
_atom_site_label
_atom_site_type_symbol
_atom_site_fract_x
_atom_site_fract_y
_atom_site_fract_z
Cs1 Cs 0.0000 0.0000 0.0000
K1 K 0.5000 0.5000 0.5000
N1 N 0.0000 0.0000 0.5000
F1 F 0.0000 0.5000 0.0000
F2 F 0.5000 0.0000 0.0000
# Polymorph energy (0 for the lowest one) = 279 meV per atom
# Uncorrected energy = -17.1 eV/cell
# Uncorrected formation energy = -293.6 kJ/mol of formula units

=====

- Which of these has the highest uncorrected energy?
  Sr4ZnHg
'''
### Response
1